Brief:
Please work out how many lines further down have the word "on" in them; a number is enough.
Given:
=====
Fe6O11F: theoretical XRD peak list (λ = 1.5418 Å (Cu Kα)), based on a DFT-relaxed cell (PBE+U, Alexandria).

Main lines, sorted by position (2θ = 10–90°):
2theta	Rel. int.
27.16	95.7
27.84	92.1
35.83	100.0
39.29	20.0
53.83	56.6
54.60	54.0
62.02	15.1
68.98	48.6

Atomic structure:
a = 5.4789 Å, b = 5.4789 Å, c = 7.0711 Å
α = 107.41°, β = 107.41°, γ = 73.62°
Positions (direct):
Fe  0.0000  0.0000  0.0000
Fe  0.2964  0.3530  0.8270
Fe  0.3076  0.3593  0.3357
Fe  0.6407  0.6924  0.6643
Fe  0.6470  0.7036  0.1730
Fe  0.9750  0.0250  0.5000
O  0.0001  0.6701  0.3334
O  0.0811  0.1217  0.2982
O  0.2130  0.2500  0.0408
O  0.2990  0.7010  0.0000
O  0.3299  0.9999  0.6666
O  0.4089  0.4614  0.6300
O  0.5386  0.5911  0.3700
O  0.6223  0.0563  0.3382
O  0.7500  0.7870  0.9592
O  0.8783  0.9189  0.7018
O  0.9437  0.3777  0.6618
F  0.6805  0.3195  0.0000
=====
Written answer:
1